=====
ORCA calculation (wB97M-V/def2-TZVPD) on a structure of composition C22H36F6O14Pb at a distorted geometry.

* net charge: 0
* energy above the lowest of the compared OMol25 structures with the same formula, charge and spin: 1224.63 kJ/mol
* electronic energy: -73602.448 eV
* E_HOMO: -7.34 eV

Structure (XYZ):
```
79
Properties=species:S:1:pos:R:3:forces:R:3:lowdin_charge:R:1
H 2.425188 -5.404175 2.278534 0.464 -0.197 -0.243 0.080
C 0.107809 2.172050 -6.538929 0.245 -0.594 2.742 -0.002
F 5.369523 -6.378744 -0.220038 -0.568 -1.947 -0.518 0.132
C 4.396934 0.883978 5.269888 -0.924 -1.113 -0.103 -0.049
H 7.937171 2.038320 1.345388 -0.192 0.627 0.320 0.086
O -1.439162 0.637396 -4.746639 -0.529 -0.684 0.484 0.106
C -6.014932 -7.134301 0.182466 0.448 0.499 0.374 -0.153
H 3.064603 8.935210 -0.806326 -0.098 0.004 -0.234 0.121
H -6.994608 -6.688274 0.011002 -0.422 -1.235 -0.461 0.114
H 5.105188 0.090191 5.507334 0.523 0.523 0.239 0.098
H -4.422279 3.537805 -0.900341 0.230 -0.034 -0.138 0.055
F 5.991608 -5.291903 -2.005584 0.231 -0.500 -0.758 0.152
C 2.085685 8.560812 -0.506920 0.386 -0.009 -1.025 -0.169
H 0.921578 -5.064883 1.565452 -0.252 -0.166 -0.294 0.067
C 6.904545 1.691445 1.307218 0.441 -0.316 0.434 -0.044
O -1.996046 0.914880 2.884218 -0.848 1.085 1.639 -0.149
C -5.276530 -7.875204 -0.966010 -0.986 0.376 1.137 -0.177
F -1.370260 3.248745 4.147040 2.844 0.416 -0.021 0.193
H 0.617387 1.452102 -5.898535 -0.092 -0.574 -0.368 0.082
H 3.392765 -5.893082 -1.931522 -0.011 -0.285 -0.320 0.142
H -3.981001 0.081659 -4.377340 0.320 -0.237 -0.140 0.092
C -4.307208 2.896271 1.198283 0.691 -0.347 -1.028 -0.225
H -5.141091 0.225681 -5.671110 0.135 0.874 -0.121 0.087
O -3.114219 2.311365 1.718882 0.765 2.910 -0.832 -0.132
C 1.701387 7.177562 1.396670 0.087 -1.787 0.421 -0.089
H -3.932573 1.480920 3.242119 -0.436 -0.234 1.190 0.149
H -4.791567 1.981472 0.856773 -0.872 0.380 -0.489 0.108
C -2.634038 3.028463 4.083913 -0.527 -1.389 -0.072 -0.666
H -4.317430 4.851184 0.234272 0.553 0.194 -0.097 0.059
H 7.054586 0.611897 1.319632 -0.754 -0.056 -0.271 0.093
F 5.701179 -4.389590 -0.117858 0.215 2.458 0.672 0.157
H -4.450061 -6.143540 1.146181 0.421 0.574 -0.016 0.127
C 2.249534 -6.174769 0.250958 -0.517 1.600 -0.659 -0.246
C 1.925832 8.572244 1.007325 -0.835 2.060 -1.363 -0.182
O 6.208903 2.139812 2.495707 -0.637 -1.393 1.158 -0.031
O 4.862887 1.766104 4.248499 1.178 -0.269 -0.597 -0.012
C -4.091656 0.020283 -5.459975 -0.809 0.175 0.312 -0.047
H 0.715709 2.314694 -7.432356 -1.305 -0.442 -0.671 0.095
H 1.459842 -6.321107 -0.485971 -0.357 -0.153 0.020 0.114
H 6.448749 2.089001 0.400412 -0.238 -0.317 0.156 0.094
C 1.739331 6.351894 0.094342 0.793 -3.619 -2.902 -0.337
H 0.737977 7.122992 1.903603 0.088 -0.688 -0.077 0.132
O -3.742481 -4.733433 -1.291484 -1.676 -2.045 0.476 0.097
H -5.798091 -5.054338 0.762561 0.408 0.187 -0.301 0.127
C 5.195745 -5.269890 -0.944447 -0.776 0.827 0.167 -0.621
H 2.718400 9.176386 1.448832 -0.073 -0.476 0.352 0.124
O 2.903654 -4.925601 -0.181070 0.583 -2.094 0.632 -0.132
O 1.958570 7.213157 -1.004543 -0.405 -0.644 2.466 -0.005
H 2.757504 -7.138603 0.284012 1.107 0.473 -0.092 0.116
H 0.290264 3.056131 -5.928020 -0.795 0.469 -0.212 0.091
H 3.518041 0.295237 5.007157 -0.241 0.309 -0.715 0.087
C -1.953830 1.084195 -5.737334 -0.295 -0.179 0.740 -0.610
F -3.045397 2.899361 5.362987 -0.334 -1.543 0.438 0.128
H -2.822677 3.831468 -0.128596 -0.183 0.264 0.013 0.069
Pb 0.796062 -0.748460 -0.470417 0.255 -0.369 0.124 1.245
H -5.946293 -7.697364 1.113240 -0.686 -0.201 -0.209 0.111
C 1.693591 -5.833830 1.594231 -0.377 0.053 1.053 -0.096
O -4.524410 -6.899839 -1.621757 0.832 2.772 -0.568 -0.015
H 0.977637 9.103920 1.087054 0.206 0.284 0.836 0.114
O 4.775491 0.326455 2.447432 1.476 1.242 1.717 0.092
H 4.059442 1.462369 6.129934 0.674 0.223 -0.156 0.097
C 3.703188 -5.017479 -1.361374 -1.403 2.978 -0.588 -0.399
C -5.189071 -5.878085 0.390199 0.604 -0.252 0.064 -0.100
H 1.309044 -6.719763 2.099531 -0.251 -0.018 -0.060 0.074
=====

Now quote the lines above up to the one that holds "2.757504 -7.138603", that line included.

ORCA calculation (wB97M-V/def2-TZVPD) on a structure of composition C22H36F6O14Pb at a distorted geometry.

* net charge: 0
* energy above the lowest of the compared OMol25 structures with the same formula, charge and spin: 1224.63 kJ/mol
* electronic energy: -73602.448 eV
* E_HOMO: -7.34 eV

Structure (XYZ):
```
79
Properties=species:S:1:pos:R:3:forces:R:3:lowdin_charge:R:1
H 2.425188 -5.404175 2.278534 0.464 -0.197 -0.243 0.080
C 0.107809 2.172050 -6.538929 0.245 -0.594 2.742 -0.002
F 5.369523 -6.378744 -0.220038 -0.568 -1.947 -0.518 0.132
C 4.396934 0.883978 5.269888 -0.924 -1.113 -0.103 -0.049
H 7.937171 2.038320 1.345388 -0.192 0.627 0.320 0.086
O -1.439162 0.637396 -4.746639 -0.529 -0.684 0.484 0.106
C -6.014932 -7.134301 0.182466 0.448 0.499 0.374 -0.153
H 3.064603 8.935210 -0.806326 -0.098 0.004 -0.234 0.121
H -6.994608 -6.688274 0.011002 -0.422 -1.235 -0.461 0.114
H 5.105188 0.090191 5.507334 0.523 0.523 0.239 0.098
H -4.422279 3.537805 -0.900341 0.230 -0.034 -0.138 0.055
F 5.991608 -5.291903 -2.005584 0.231 -0.500 -0.758 0.152
C 2.085685 8.560812 -0.506920 0.386 -0.009 -1.025 -0.169
H 0.921578 -5.064883 1.565452 -0.252 -0.166 -0.294 0.067
C 6.904545 1.691445 1.307218 0.441 -0.316 0.434 -0.044
O -1.996046 0.914880 2.884218 -0.848 1.085 1.639 -0.149
C -5.276530 -7.875204 -0.966010 -0.986 0.376 1.137 -0.177
F -1.370260 3.248745 4.147040 2.844 0.416 -0.021 0.193
H 0.617387 1.452102 -5.898535 -0.092 -0.574 -0.368 0.082
H 3.392765 -5.893082 -1.931522 -0.011 -0.285 -0.320 0.142
H -3.981001 0.081659 -4.377340 0.320 -0.237 -0.140 0.092
C -4.307208 2.896271 1.198283 0.691 -0.347 -1.028 -0.225
H -5.141091 0.225681 -5.671110 0.135 0.874 -0.121 0.087
O -3.114219 2.311365 1.718882 0.765 2.910 -0.832 -0.132
C 1.701387 7.177562 1.396670 0.087 -1.787 0.421 -0.089
H -3.932573 1.480920 3.242119 -0.436 -0.234 1.190 0.149
H -4.791567 1.981472 0.856773 -0.872 0.380 -0.489 0.108
C -2.634038 3.028463 4.083913 -0.527 -1.389 -0.072 -0.666
H -4.317430 4.851184 0.234272 0.553 0.194 -0.097 0.059
H 7.054586 0.611897 1.319632 -0.754 -0.056 -0.271 0.093
F 5.701179 -4.389590 -0.117858 0.215 2.458 0.672 0.157
H -4.450061 -6.143540 1.146181 0.421 0.574 -0.016 0.127
C 2.249534 -6.174769 0.250958 -0.517 1.600 -0.659 -0.246
C 1.925832 8.572244 1.007325 -0.835 2.060 -1.363 -0.182
O 6.208903 2.139812 2.495707 -0.637 -1.393 1.158 -0.031
O 4.862887 1.766104 4.248499 1.178 -0.269 -0.597 -0.012
C -4.091656 0.020283 -5.459975 -0.809 0.175 0.312 -0.047
H 0.715709 2.314694 -7.432356 -1.305 -0.442 -0.671 0.095
H 1.459842 -6.321107 -0.485971 -0.357 -0.153 0.020 0.114
H 6.448749 2.089001 0.400412 -0.238 -0.317 0.156 0.094
C 1.739331 6.351894 0.094342 0.793 -3.619 -2.902 -0.337
H 0.737977 7.122992 1.903603 0.088 -0.688 -0.077 0.132
O -3.742481 -4.733433 -1.291484 -1.676 -2.045 0.476 0.097
H -5.798091 -5.054338 0.762561 0.408 0.187 -0.301 0.127
C 5.195745 -5.269890 -0.944447 -0.776 0.827 0.167 -0.621
H 2.718400 9.176386 1.448832 -0.073 -0.476 0.352 0.124
O 2.903654 -4.925601 -0.181070 0.583 -2.094 0.632 -0.132
O 1.958570 7.213157 -1.004543 -0.405 -0.644 2.466 -0.005
H 2.757504 -7.138603 0.284012 1.107 0.473 -0.092 0.116